A police officer has been filmed kicking and stamping on the head of a man lying on the ground at Manchester Airport.
The uniformed male officer is seen holding a Taser over the man, who is lying face down, before striking him twice while other officers shout at onlookers to stay back in a video shared widely online.
Greater Manchester Police (GMP) said firearms officers had been attacked while attempting to arrest someone following a fight in the airport’s Terminal 2 on Tuesday. It said it had referred itself to the police watchdog.
........
Density functional theory data (the ωB97M-V functional and the def2-TZVPD basis) for the ion C3H6N3O2 with charge -1 in a non-equilibrium geometry.

Properties
**Largest force on an atom**: 4.7 eV/Å
**HOMO (spin up / spin down)**: 0.0250 / -0.1752 hartree
**Kohn-Sham gap (spin up / spin down)**: 0.139 / 0.234 hartree
**Expectation value of S²**: 2.01
**Multiplicity**: 3
**E_tot**: -11765.96940 eV
**Relative energy (zero: lowest compared OMol25 entry of this formula, charge and spin)**: 2.128 eV
**Charge**: -1

Geometry as XYZ:
```
14
Properties=species:S:1:pos:R:3:forces:R:3
C 1.00488 -0.84315 -0.50640 -2.7 1.9 1.9
C -1.04495 -0.86410 1.20763 1.4 0.6 0.1
C 0.18301 -0.11445 0.64814 0.3 -0.7 0.0
N 0.35381 2.05842 -0.90071 2.8 0.5 1.8
N -0.68355 1.29592 -1.37406 -2.1 -1.9 -1.9
N -0.47523 1.31183 0.01805 0.3 1.5 0.0
O 0.59831 -1.90678 -0.90822 -1.7 -4.3 -0.9
O 1.99352 -0.19349 -0.80705 4.0 2.5 -0.8
H -0.99415 -1.16392 2.31978 0.3 0.2 -1.7
H -0.97767 -1.70017 0.47272 -1.3 0.1 0.9
H -1.85791 -0.10511 1.12390 0.0 -1.1 -0.2
H 0.92188 0.32338 1.30274 0.2 0.3 0.7
H 1.31556 1.55479 -0.92775 -1.6 0.2 0.0
H -0.33751 0.34682 -1.66876 0.1 0.4 0.0
```
Forces are in eV/Å.

----------

Formula: C27H28BrClCrN6O11
Source: OMol25
Level of theory: ωB97M-V/def2-TZVPD

```
! wB97M-V def2-TZVPD RIJCOSX def2/J DEFGRID3
* xyz -1 4
Cr 0.701 0.416 2.212
O -4.281 3.112 1.987
C -3.768 3.144 0.785
O -4.201 3.821 -0.153
C -2.510 2.390 0.557
C -1.869 2.282 -0.630
Cl -2.240 2.884 -2.167
N -0.710 1.585 -0.484
N -0.610 1.220 0.820
C -1.657 1.750 1.468
C -1.786 1.480 2.941
O -2.854 1.770 3.490
O -0.753 0.936 3.450
C 0.385 1.426 -1.392
C 0.276 0.560 -2.480
C 1.391 0.311 -3.295
C 2.618 0.882 -2.951
C 2.702 1.795 -1.888
C 1.586 2.034 -1.088
H -3.734 2.544 2.654
H -0.625 -0.063 -2.592
H 1.253 -0.354 -4.124
H 3.473 0.622 -3.549
H 3.639 2.295 -1.676
H 1.630 2.728 -0.264
N -0.207 -1.535 2.097
C -0.131 -2.095 3.452
C 1.201 -1.620 4.125
O 1.755 -2.353 4.937
O 1.651 -0.453 3.686
H -1.161 -1.614 1.770
H 0.389 -2.038 1.435
H -0.175 -3.198 3.467
H -0.883 -1.649 4.117
C 2.538 4.294 2.518
C 1.329 3.338 2.410
O 0.198 3.800 2.320
O 1.665 2.086 2.519
H 2.223 5.316 2.750
H 3.151 4.233 1.609
H 3.203 3.989 3.366
Br 6.766 -4.315 0.512
C 5.975 -2.587 0.664
C 6.733 -1.458 0.895
N 6.168 -0.242 1.003
C 4.844 -0.135 0.867
C 4.030 -1.262 0.622
C 4.600 -2.504 0.519
C 2.551 -1.223 0.593
O 1.865 -2.198 0.249
O 2.104 -0.086 1.024
H 7.816 -1.510 0.940
H 4.370 0.797 1.110
H 3.981 -3.387 0.364
C -0.855 -2.809 -2.174
N -2.075 -2.022 -2.357
C -2.456 -1.815 -3.728
C -3.671 -0.879 -3.898
C -4.660 -1.171 -2.793
N -3.978 -0.970 -1.498
C -4.807 -0.649 -0.353
C -2.747 -1.597 -1.261
O -2.338 -1.709 -0.107
H -0.026 -2.241 -1.750
H -0.556 -3.190 -3.154
H -1.061 -3.666 -1.557
H -2.678 -2.810 -4.166
H -1.591 -1.375 -4.285
H -4.067 -0.989 -4.896
H -3.350 0.171 -3.808
H -5.118 -2.186 -2.839
H -5.483 -0.438 -2.842
H -5.567 0.048 -0.673
H -4.247 -0.148 0.424
H -5.277 -1.518 0.141
*
```

expectation value of S² = 3.7693
........
Anger has grown over the video and a crowd of what appeared to be several hundred people protested outside the police station in Rochdale, Greater Manchester, on Wednesday evening.
That shouldn’t be a setback of ten years, it should be an automatic attempted manslaughter charge and exclusion from any job that gives immediate power over strangers.
What is with internet comments being obsessed with attempted manslaughter?
No this is ABH/GBH at best depending on injuries which should go with an immediate suspension. Attempted manslaughter is not possible to convict
Convicting is not the point. Bullshit charges and intimidating maximum sentences are there to force a plea deal and rob defendants of their rights.
The cops taught us that.
This happened in the UK where plea deals aren’t really a thing.
Got my manchesters mixed up, sorry about that.
Molecular data, kept here for reference.
........
This record from the OMol25 dataset describes a molecular structure, C28H46AsCoGeN4OS. The level of theory is wB97M-V/def2-TZVPD.

```
83
C28H46AsCoGeN4OS | the OMol25 dataset | wB97M-V/def2-TZVPD
As 2.225 -2.242 0.525
Ge -1.243 1.179 1.761
Co 1.750 0.111 -0.003
S -0.162 -0.088 -2.512
O 0.828 1.540 1.504
N 2.234 2.549 3.051
N 1.201 0.497 -1.786
N 5.249 0.883 0.908
N 3.007 1.228 1.268
C -4.127 2.480 1.026
C 0.241 1.664 -6.107
C -0.910 2.449 -6.148
C -2.059 2.741 2.523
C 4.576 2.213 2.787
C 0.873 -4.171 -4.165
C -0.449 -3.811 -3.930
C -1.563 1.667 -3.973
C -2.168 -1.179 3.314
C 2.001 1.784 1.968
C -1.809 2.452 -5.091
C -0.410 0.892 -3.950
C 1.120 3.172 3.789
C -3.293 -1.500 1.039
C 0.888 -3.581 0.139
C -0.747 -2.558 -3.411
C -5.648 2.390 0.986
C 0.300 -1.685 -3.143
C 3.823 -2.935 -0.317
C 2.603 -2.557 2.396
C -3.595 2.623 2.448
C 3.536 2.754 3.445
C -0.929 -0.412 2.803
C 4.289 1.427 1.637
C 0.501 0.870 -5.005
C 1.625 -2.026 -3.367
C -2.758 -2.159 2.305
C 1.906 -3.284 -3.885
H 3.875 -4.002 -0.105
H -2.260 1.652 -3.144
H -6.008 1.530 1.554
H 4.705 -2.453 0.104
H -1.110 3.055 -7.022
H -1.722 2.850 3.552
H 1.378 0.236 -4.979
H -6.014 2.295 -0.036
H 1.369 -4.557 0.176
H 2.414 -1.315 -3.159
H -2.001 -2.906 2.046
H -1.263 1.049 0.244
H -3.704 1.584 0.551
H 6.220 1.051 1.125
H -3.783 3.329 0.426
H 3.467 -1.971 2.709
H -2.943 -0.480 3.645
H 5.590 2.391 3.113
H 1.588 1.272 -2.313
H -3.849 -2.208 0.426
H 0.427 2.404 4.117
H 3.797 -2.782 -1.392
H -1.705 3.598 1.944
H 0.454 -3.423 -0.846
H -1.776 -2.270 -3.227
H 1.098 -5.146 -4.576
H -1.250 -4.503 -4.152
H 1.743 -2.292 3.009
H 0.107 -3.537 0.898
H -1.868 -1.728 4.208
H -4.011 3.527 2.898
H 5.041 0.418 0.039
H 2.931 -3.568 -4.088
H -0.338 -0.055 3.653
H -3.985 -0.689 1.285
H -6.097 3.285 1.417
H -3.942 1.792 3.069
H -2.493 -1.100 0.405
H 2.824 -3.614 2.530
H 0.928 1.663 -6.942
H 0.615 3.900 3.158
H 1.526 3.670 4.664
H 3.667 3.375 4.320
H -0.282 -1.062 2.204
H -2.703 3.059 -5.137
H -3.565 -2.705 2.794
```

Properties
........
In fairness… regardless of what the guy did before this.
The officer deserves to absolutely lose his job. Without doubt.
The target.tis face down int be ground… not moving… and he stomps his head.
I heard the guy boiled a pot of water earlier in the day, so, you know, clearly it’s justified…
although this video is definitely cut early to make the police officer look especially bad I have to completely agree with you. This isn’t warranted even if the perpetrator was a child rapist, let the courts do the punishing.
Idk about where you live, but “versuchter Totschlag” is very much a thing in Germany. Translates to attempted manslaughter and is in essence an extension to aggravated assault for cases where it should be obvious to the perpetrator, that their actions are significantly likely to cause death.
Specifically kicking the head of a person who is already on the ground is one of the things that is basically guaranteed to get you charged with that .
Yeah sorry I got bubbled. I live in UK, this video is shot in the UK and I did the American thing where I forget other countries exist
Don’t worry, I did the same. Just assuming that legislature would be the same and all…
Hitting someone’s head with effort repeatedly is in general attempted manslaughter, no?
Humans are not battle droids. This action has a sufficiently big probability to result in death.
Attempted manslaughter not convictable in the country this crime was committed. Attempted murder you must prove intent to kill, which is difficult to do but entirely possible. Manslaughter you must not have intent to kill but still actually kill them. Attempted manslaughter is no death and no intent to kill, so in the UK this would be grevious bodily harm or attempted murder
Do you believe the guy that punched the cop on her head should be charged with attempted manslaughter as well?